Job >
Copy the contents further below unchanged.

Given >
=====
Starting from a cell relaxed with GGA-PBE, the powder XRD pattern of Li2Al2Si4O13 was simulated for Cu Ka.
Neutral-atom scattering factors, no anomalous dispersion.

Peak list (10 most intense, 10° ≤ 2θ ≤ 80°, by angle)
| index | d (Å) | intensity |
| --- | --- | --- |
| 0 0 1 | 7.923 | 45 |
| 0 1 0 | 7.033 | 36 |
| 0 1 1 | 6.828 | 22 |
| 0 1 -1 | 4.435 | 22 |
| 1 0 1 | 4.249 | 100 |
| 0 2 1 | 3.852 | 10 |
| 0 2 0 | 3.517 | 49 |
| 0 2 2 | 3.414 | 35 |
| 1 0 -2 | 3.113 | 12 |
| 2 0 0 | 2.517 | 27 |

Structure:
Cell lengths 5.034, 7.710, 8.685 Å; angles 65.82, 89.50, 89.17 degrees
Space group P1 (No. 1)
Inequivalent atoms, fractional coordinates:
Li  0.000  0.000  0.000 (multiplicity 1)
Li  0.494  0.242  0.404 (multiplicity 1)
Al  0.001  0.227  0.594 (multiplicity 1)
Al  0.491  0.193  0.082 (multiplicity 1)
Si  0.050  0.637  0.591 (multiplicity 1)
Si  0.502  0.037  0.802 (multiplicity 1)
Si  0.547  0.620  0.809 (multiplicity 1)
Si  0.992  0.063  0.320 (multiplicity 1)
O  0.039  0.470  0.526 (multiplicity 1)
O  0.104  0.709  0.112 (multiplicity 1)
O  0.127  0.171  0.429 (multiplicity 1)
O  0.174  0.093  0.154 (multiplicity 1)
O  0.185  0.095  0.780 (multiplicity 1)
O  0.351  0.659  0.649 (multiplicity 1)
O  0.464  0.438  0.974 (multiplicity 1)
O  0.539  0.808  0.854 (multiplicity 1)
O  0.625  0.077  0.958 (multiplicity 1)
O  0.661  0.161  0.626 (multiplicity 1)
O  0.693  0.150  0.260 (multiplicity 1)
O  0.851  0.596  0.751 (multiplicity 1)
O  0.964  0.837  0.435 (multiplicity 1)



Starting from a cell relaxed with GGA-PBE, the powder XRD pattern of LiTiAlO4 was simulated for Cu Ka.
Neutral-atom scattering factors, no anomalous dispersion.

Peak list (10 most intense, 10° ≤ 2θ ≤ 80°, by angle)
| index | d (Å) | intensity |
| --- | --- | --- |
| 0 1 1 | 4.820 | 46 |
| 1 0 1 | 4.732 | 100 |
| 1 2 1 | 2.513 | 33 |
| 1 0 3 | 2.489 | 16 |
| 2 1 1 | 2.475 | 9 |
| 0 0 4 | 2.068 | 93 |
| 3 2 1 | 1.583 | 12 |
| 0 4 0 | 1.482 | 9 |
| 2 2 4 | 1.463 | 38 |
| 4 0 0 | 1.442 | 9 |

Structure:
Cell lengths 5.768, 5.930, 8.277 Å; angles 90.00, 90.00, 90.00 degrees
Space group Imma (No. 74)
Inequivalent atoms, fractional coordinates:
Li  0.000  0.250  0.129 (multiplicity 4)
Ti  0.000  0.000  0.500 (multiplicity 4)
Al  0.250  0.250  0.750 (multiplicity 4)
O  0.000  0.033  0.738 (multiplicity 8)
O  0.229  0.250  0.513 (multiplicity 8)



Starting from a cell relaxed with GGA-PBE, the powder XRD pattern of LiAl4Tl4O12 was simulated for Cu Ka.
Neutral-atom scattering factors, no anomalous dispersion.

Peak list (10 most intense, 10° ≤ 2θ ≤ 80°, by angle)
| index | d (Å) | intensity |
| --- | --- | --- |
| 1 0 -1 | 4.008 | 66 |
| 0 2 0 | 3.816 | 79 |
| 1 0 1 | 3.713 | 68 |
| 1 2 -1 | 2.764 | 98 |
| 0 0 2 | 2.753 | 41 |
| 2 0 0 | 2.695 | 49 |
| 1 2 1 | 2.661 | 100 |
| 0 2 2 | 2.233 | 42 |
| 2 2 0 | 2.202 | 54 |
| 0 4 0 | 1.908 | 31 |

Structure:
Cell lengths 5.406, 7.633, 5.522 Å; angles 90.00, 94.36, 90.00 degrees
Space group Pm (No. 6)
Inequivalent atoms, fractional coordinates:
Li  0.000  0.000  0.000 (multiplicity 1)
Al  0.253  0.264  0.212 (multiplicity 2)
Al  0.754  0.261  0.743 (multiplicity 2)
Tl  0.263  0.000  0.665 (multiplicity 1)
Tl  0.270  0.500  0.751 (multiplicity 1)
Tl  0.704  0.000  0.309 (multiplicity 1)
Tl  0.759  0.500  0.263 (multiplicity 1)
O  0.060  0.228  0.917 (multiplicity 2)
O  0.172  0.500  0.207 (multiplicity 1)
O  0.319  0.000  0.217 (multiplicity 1)
O  0.470  0.289  0.509 (multiplicity 2)
O  0.549  0.307  0.008 (multiplicity 2)
O  0.704  0.000  0.747 (multiplicity 1)
O  0.848  0.500  0.681 (multiplicity 1)
O  0.965  0.209  0.407 (multiplicity 2)



Starting from a cell relaxed with GGA-PBE, the powder XRD pattern of LiAl4Tl4O12 was simulated for Cu Ka.
Neutral-atom scattering factors, no anomalous dispersion.

Peak list (10 most intense, 10° ≤ 2θ ≤ 80°, by angle)
| index | d (Å) | intensity |
| --- | --- | --- |
| 0 0 2 | 4.246 | 100 |
| 1 1 0 | 3.880 | 74 |
| 1 -1 0 | 3.682 | 88 |
| 1 1 2 | 3.032 | 54 |
=====

Written answer >
Starting from a cell relaxed with GGA-PBE, the powder XRD pattern of Li2Al2Si4O13 was simulated for Cu Ka.
Neutral-atom scattering factors, no anomalous dispersion.

Peak list (10 most intense, 10° ≤ 2θ ≤ 80°, by angle)
| index | d (Å) | intensity |
| --- | --- | --- |
| 0 0 1 | 7.923 | 45 |
| 0 1 0 | 7.033 | 36 |
| 0 1 1 | 6.828 | 22 |
| 0 1 -1 | 4.435 | 22 |
| 1 0 1 | 4.249 | 100 |
| 0 2 1 | 3.852 | 10 |
| 0 2 0 | 3.517 | 49 |
| 0 2 2 | 3.414 | 35 |
| 1 0 -2 | 3.113 | 12 |
| 2 0 0 | 2.517 | 27 |

Structure:
Cell lengths 5.034, 7.710, 8.685 Å; angles 65.82, 89.50, 89.17 degrees
Space group P1 (No. 1)
Inequivalent atoms, fractional coordinates:
Li  0.000  0.000  0.000 (multiplicity 1)
Li  0.494  0.242  0.404 (multiplicity 1)
Al  0.001  0.227  0.594 (multiplicity 1)
Al  0.491  0.193  0.082 (multiplicity 1)
Si  0.050  0.637  0.591 (multiplicity 1)
Si  0.502  0.037  0.802 (multiplicity 1)
Si  0.547  0.620  0.809 (multiplicity 1)
Si  0.992  0.063  0.320 (multiplicity 1)
O  0.039  0.470  0.526 (multiplicity 1)
O  0.104  0.709  0.112 (multiplicity 1)
O  0.127  0.171  0.429 (multiplicity 1)
O  0.174  0.093  0.154 (multiplicity 1)
O  0.185  0.095  0.780 (multiplicity 1)
O  0.351  0.659  0.649 (multiplicity 1)
O  0.464  0.438  0.974 (multiplicity 1)
O  0.539  0.808  0.854 (multiplicity 1)
O  0.625  0.077  0.958 (multiplicity 1)
O  0.661  0.161  0.626 (multiplicity 1)
O  0.693  0.150  0.260 (multiplicity 1)
O  0.851  0.596  0.751 (multiplicity 1)
O  0.964  0.837  0.435 (multiplicity 1)



Starting from a cell relaxed with GGA-PBE, the powder XRD pattern of LiTiAlO4 was simulated for Cu Ka.
Neutral-atom scattering factors, no anomalous dispersion.

Peak list (10 most intense, 10° ≤ 2θ ≤ 80°, by angle)
| index | d (Å) | intensity |
| --- | --- | --- |
| 0 1 1 | 4.820 | 46 |
| 1 0 1 | 4.732 | 100 |
| 1 2 1 | 2.513 | 33 |
| 1 0 3 | 2.489 | 16 |
| 2 1 1 | 2.475 | 9 |
| 0 0 4 | 2.068 | 93 |
| 3 2 1 | 1.583 | 12 |
| 0 4 0 | 1.482 | 9 |
| 2 2 4 | 1.463 | 38 |
| 4 0 0 | 1.442 | 9 |

Structure:
Cell lengths 5.768, 5.930, 8.277 Å; angles 90.00, 90.00, 90.00 degrees
Space group Imma (No. 74)
Inequivalent atoms, fractional coordinates:
Li  0.000  0.250  0.129 (multiplicity 4)
Ti  0.000  0.000  0.500 (multiplicity 4)
Al  0.250  0.250  0.750 (multiplicity 4)
O  0.000  0.033  0.738 (multiplicity 8)
O  0.229  0.250  0.513 (multiplicity 8)



Starting from a cell relaxed with GGA-PBE, the powder XRD pattern of LiAl4Tl4O12 was simulated for Cu Ka.
Neutral-atom scattering factors, no anomalous dispersion.

Peak list (10 most intense, 10° ≤ 2θ ≤ 80°, by angle)
| index | d (Å) | intensity |
| --- | --- | --- |
| 1 0 -1 | 4.008 | 66 |
| 0 2 0 | 3.816 | 79 |
| 1 0 1 | 3.713 | 68 |
| 1 2 -1 | 2.764 | 98 |
| 0 0 2 | 2.753 | 41 |
| 2 0 0 | 2.695 | 49 |
| 1 2 1 | 2.661 | 100 |
| 0 2 2 | 2.233 | 42 |
| 2 2 0 | 2.202 | 54 |
| 0 4 0 | 1.908 | 31 |

Structure:
Cell lengths 5.406, 7.633, 5.522 Å; angles 90.00, 94.36, 90.00 degrees
Space group Pm (No. 6)
Inequivalent atoms, fractional coordinates:
Li  0.000  0.000  0.000 (multiplicity 1)
Al  0.253  0.264  0.212 (multiplicity 2)
Al  0.754  0.261  0.743 (multiplicity 2)
Tl  0.263  0.000  0.665 (multiplicity 1)
Tl  0.270  0.500  0.751 (multiplicity 1)
Tl  0.704  0.000  0.309 (multiplicity 1)
Tl  0.759  0.500  0.263 (multiplicity 1)
O  0.060  0.228  0.917 (multiplicity 2)
O  0.172  0.500  0.207 (multiplicity 1)
O  0.319  0.000  0.217 (multiplicity 1)
O  0.470  0.289  0.509 (multiplicity 2)
O  0.549  0.307  0.008 (multiplicity 2)
O  0.704  0.000  0.747 (multiplicity 1)
O  0.848  0.500  0.681 (multiplicity 1)
O  0.965  0.209  0.407 (multiplicity 2)



Starting from a cell relaxed with GGA-PBE, the powder XRD pattern of LiAl4Tl4O12 was simulated for Cu Ka.
Neutral-atom scattering factors, no anomalous dispersion.

Peak list (10 most intense, 10° ≤ 2θ ≤ 80°, by angle)
| index | d (Å) | intensity |
| --- | --- | --- |
| 0 0 2 | 4.246 | 100 |
| 1 1 0 | 3.880 | 74 |
| 1 -1 0 | 3.682 | 88 |
| 1 1 2 | 3.032 | 54 |